
Well-Known Member
MJ could go big corporate unless there are some legal impediments to it
but i do agree if MJ is just legalized, then big corporations will be tough to compete with
my guess is MJ will be a rather strictly regulated commodity in the future, many will be uncomfortable with large visible MJ super stores
i'll deal with the risk of super stores as an acceptable trade, i could grow what i want at home
not many juries are going to convict anyone of home cultivation with mega MJ grows in operation, regardless of whatever bogus laws that might be contrived
Exactly!!!!! This is more or less of a win win, at least the way I see it. I would still grow my own but anybody who didn't care about quality could buy "walmart weed". I think it would be a lot like beer. You have your big Anheuser Busch, Miller Brewing, monster conglomerates and you've got a shitload of microbreweries. Before prohibition there were thousands of brewers across the country. All but the big boys basically disappeared because of prohibition. America's demand for good beer was almost non-existent due to a lot of factors after the repeal of prohibition. Slowly, we started to rediscover different styles of beer and the wonderful varieties of flavorful brews that were possible. It was mom and pop operations who, in large part, filled the demand for niche, gourmet types of beers, when demand for these brews started to increase in the 80's. When the big boys took notice of this phenomenon they realized they were missing the boat and started to get back to their roots and find ways to mass produce higher quality, more flavorful, full bodied styles of beer. The microbrew drinking public had a lukewarm welcome for these "megabrews" and what the big breweries started to do was buy up the small mom and pop brewhouses. Now Anheuser Busch has a bunch of microbrews that they own but maintain the small batch brewing styles often associated with good beer. A lot of people still brew their own beer and I imagine if/when cannabis becomes legal it will be similar to the beer phenomenon in the U.S. :weed:


Well-Known Member
Considering MJ will only be legal in Cali, and still not federally legal, most corporations won't touch it. Walmart would get their ass raped by the feds if they even tried to become a corporate seller of mj. Lets be somewhat logical about this. Nationwide corps, or any large corp in general would get fucked in the ass by the feds if they started selling mj. It's for this very reason that only small shops will be able to survive. Staying under the radar is what's going to protect most legal dispensaries, and corporations have no chance of staying under the radar.
As far as Jack Herer is concerned, he's a cool guy, but have your own damn opinion. Don't base your opinions off of what one guy said, unless you end all your posts with bahhh.


Well-Known Member
Considering MJ will only be legal in Cali, and still not federally legal, most corporations won't touch it. Walmart would get their ass raped by the feds if they even tried to become a corporate seller of mj. Lets be somewhat logical about this. Nationwide corps, or any large corp in general would get fucked in the ass by the feds if they started selling mj. It's for this very reason that only small shops will be able to survive. Staying under the radar is what's going to protect most legal dispensaries, and corporations have no chance of staying under the radar.
As far as Jack Herer is concerned, he's a cool guy, but have your own damn opinion. Don't base your opinions off of what one guy said, unless you end all your posts with bahhh.
"Walmart weed" refers to the large scale growing that is being planned if prop. 19 passes, not that walmart will actually be selling it. lol!:eyesmoke:


Well-Known Member
Well I was just using walmart as an example for any corps. Those grow factories are going to get shutdown within a week of their first crop is my guess.


Well-Known Member
Well I was just using walmart as an example for any corps. Those grow factories are going to get shutdown within a week of their first crop is my guess.
I still don't think there are too many large corporations looking at growing cannabis, but there are still people who have plans to grow on a large scale. You are probably correct though, they will more than likely get shut down pretty quickly if this passes.:leaf:


Well-Known Member
Well I was just using walmart as an example for any corps. Those grow factories are going to get shutdown within a week of their first crop is my guess.
could be, if they don't close them down, there will be more quickly
it really is funny, what will DEA deal with first, the evil recreational grows of prop 19 or the MMJ grow factories?


Well-Known Member
It won't ever be dead if it gets put into the constitution. It will just make the feds focus on big time corps, so huge underground growers will probably be able to get away with their shit unscathed. But that's just my .02


Active Member
I dont think they will be amending the constitution so we can all get stoned but that would be something Id vote yes on.


Well-Known Member
Well, if/when it does pass it would be nice to see huge tobacco companies get into cannabis growing. Not that it would be great for quality cannabis, but great for global legalization. But I don't think legalization in California is alone to get corporations like Altria to jump ship.


Active Member
Well, if/when it does pass it would be nice to see huge tobacco companies get into cannabis growing. Not that it would be great for quality cannabis, but great for global legalization. But I don't think legalization in California is alone to get corporations like Altria to jump ship.
Shim, and you would like to see that handed over the Altria the purveyors of aerosol cheese? :clap:


Well, if/when it does pass it would be nice to see huge tobacco companies get into cannabis growing. Not that it would be great for quality cannabis, but great for global legalization. But I don't think legalization in California is alone to get corporations like Altria to jump ship.
California was the first state to legalize medical marijuana (Oregon was the 1st to decriminalize ), so it will have effects down the line.


Uses the Rollitup profile
That dragon chick is an idiot, and she has proven it many times. First of all, she works in a dispensary ...

nuff said.

I voted yes.



Active Member
That dragon chick is an idiot, and she has proven it many times. First of all, she works in a dispensary ...

nuff said.

I voted yes.

Calculated crystals that have nothing to do with the page >
┌──
The following is a DFT calculation (r2SCAN) of a geometry-optimized TcIr3 structure.

Structure (CIF):
```
data_TcIr3
_cell_length_a 5.4825
_cell_length_b 5.4825
_cell_length_c 4.3659
_cell_angle_alpha 90.00
_cell_angle_beta 90.00
_cell_angle_gamma 120.00
_symmetry_space_group_name_H-M 'P 63/m m c'
_symmetry_Int_Tables_number 194
_symmetry_space_group_name_Hall '-P 6c 2c'
loop_
_atom_site_label
_atom_site_fract_x
_atom_site_fract_y
_atom_site_fract_z
Tc1 0.3333 0.6667 0.2500
Ir1 0.1665 0.3329 0.7500
```

---

The following is a DFT calculation (r2SCAN) of a geometry-optimized Nd3Ho structure.

Structure (CIF):
```
data_Nd3Ho
_cell_length_a 5.152
_cell_length_b 5.152
_cell_length_c 5.152
_cell_angle_alpha 90.00
_cell_angle_beta 90.00
_cell_angle_gamma 90.00
_symmetry_space_group_name_H-M 'P m -3 m'
_symmetry_Int_Tables_number 221
_symmetry_space_group_name_Hall '-P 4 2 3'
loop_
_atom_site_label
_atom_site_fract_x
_atom_site_fract_y
_atom_site_fract_z
Nd1 0.000 0.000 0.500
Ho1 0.500 0.500 0.500
```

Computed properties:
* energy above the most stable polymorph in this dataset: 7 meV/atom

---

The following is a DFT calculation (r2SCAN) of a geometry-optimized KCr5S8 structure.

Structure (CIF):
```
data_KCr5S8
_cell_length_a 17.981
_cell_length_b 3.494
_cell_length_c 8.704
_cell_angle_alpha 90.00
_cell_angle_beta 105.45
_cell_angle_gamma 90.00
_symmetry_space_group_name_H-M 'C 1 2/m 1'
_symmetry_Int_Tables_number 12
loop_
_symmetry_equiv_pos_as_xyz
'x,y,z'
'-x,-y,-z'
'-x,y,-z'
'x,-y,z'
'x+1/2,y+1/2,z'
'-x+1/2,-y+1/2,-z'
'-x+1/2,y+1/2,-z'
'x+1/2,-y+1/2,z'
loop_
_atom_site_label
_atom_site_fract_x
_atom_site_fract_y
_atom_site_fract_z
K1 0.000 0.000 0.000
Cr1 0.000 0.500 0.500
Cr2 0.158 0.000 0.472
Cr3 0.204 0.000 0.835
S1 0.077 0.000 0.648
S2 0.084 0.500 0.325
S3 0.171 0.500 0.987
S4 0.237 0.500 0.655
```
└──

So working for a dispensary makes one an idiot? Comments like that make me lose respect for pro-19 people. Get educated.


Uses the Rollitup profile
heehee, yeah that's right, Dragon has stated her views all over the internet and on tv. I can think that she is an idiot, and can say so. I did not say she was an idiot for working at a dispensary, that is your misunderstanding.

And believe me, Prop 19 proponents don't care about your respect.

Please vote YES.

Inserted here: materials data:
(1)
A plane-wave DFT calculation with PBE was carried out for an optimized crystal structure of VCo3.

a = 4.992 Å, b = 4.992 Å, c = 4.009 Å
α = 90.00°, β = 90.00°, γ = 120.00°
Atoms (fractional coordinates):
V 0.333 0.667 0.250
V 0.667 0.333 0.750
Co 0.163 0.326 0.750
Co 0.163 0.837 0.750
Co 0.326 0.163 0.250
Co 0.674 0.837 0.750
Co 0.837 0.163 0.250
Co 0.837 0.674 0.250

Results
* SG: No. 194
* crystal system: hexagonal
* theoretical density: 8.74 g/cm³
* ΔH_f (0 K): -0.166 eV/atom

---

(2)
A plane-wave DFT calculation with PBE was carried out for an optimized crystal structure of BaMg14Zn.

a = 10.530 Å, b = 6.669 Å, c = 6.669 Å
α = 58.07°, β = 90.00°, γ = 90.00°
Atoms (fractional coordinates):
Ba 0.000 0.000 0.000
Mg 0.000 0.009 0.491
Mg 0.000 0.491 0.009
Mg 0.235 0.645 0.645
Mg 0.263 0.156 0.640
Mg 0.263 0.640 0.156
Mg 0.268 0.159 0.159
Mg 0.500 0.489 0.489
Mg 0.500 0.492 0.980
Mg 0.500 0.980 0.492
Mg 0.500 0.986 0.986
Mg 0.732 0.159 0.159
Mg 0.737 0.156 0.640
Mg 0.737 0.640 0.156
Mg 0.765 0.645 0.645
Zn 0.000 0.456 0.456

Results
* SG: No. 38
* magnetic moment: 0.00 Bohr magnetons per cell
* crystal system: orthorhombic
* theoretical density: 2.27 g/cm³
* ΔH_f (0 K): 0.057 eV/atom

---

(3)
A plane-wave DFT calculation with PBE was carried out for an optimized crystal structure of SrH4IrO2F6.

a = 6.614 Å, b = 10.197 Å, c = 11.770 Å
α = 90.00°, β = 110.11°, γ = 90.00°
Atoms (fractional coordinates):
Sr 0.248 0.208 0.452
Sr 0.248 0.292 0.952
Sr 0.752 0.708 0.048
Sr 0.752 0.792 0.548
H 0.064 0.067 0.135
H 0.064 0.433 0.635
H 0.104 0.720 0.928
H 0.104 0.780 0.428
H 0.160 0.023 0.151
H 0.160 0.477 0.651
H 0.212 0.690 0.543
H 0.212 0.810 0.043
H 0.788 0.190 0.957
H 0.788 0.310 0.457
H 0.840 0.523 0.349
H 0.840 0.977 0.849
H 0.896 0.220 0.572
H 0.896 0.280 0.072
H 0.936 0.567 0.365
H 0.936 0.933 0.865
Ir 0.342 0.539 0.261
Ir 0.342 0.961 0.761
Ir 0.658 0.039 0.239
Ir 0.658 0.461 0.739
O 0.083 0.740 0.498
O 0.083 0.760 0.998
O 0.425 0.533 0.961
O 0.425 0.967 0.461
O 0.575 0.033 0.539
O 0.575 0.467 0.039
O 0.917 0.240 0.002
O 0.917 0.260 0.502
F 0.095 0.657 0.226
F 0.095 0.843 0.726
F 0.193 0.063 0.612
F 0.193 0.437 0.112
F 0.204 0.084 0.840
F 0.204 0.416 0.340
F 0.428 0.586 0.701
F 0.428 0.914 0.201
F 0.481 0.642 0.412
F 0.481 0.858 0.912
F 0.490 0.654 0.183
F 0.490 0.846 0.683
F 0.510 0.154 0.317
F 0.510 0.346 0.817
F 0.519 0.142 0.088
F 0.519 0.358 0.588
F 0.572 0.086 0.799
F 0.572 0.414 0.299
F 0.796 0.584 0.660
F 0.796 0.916 0.160
F 0.807 0.563 0.888
F 0.807 0.937 0.388
F 0.905 0.157 0.274
F 0.905 0.343 0.774

Results
* SG: No. 14
* magnetic moment: 8.00 Bohr magnetons per cell
* crystal system: monoclinic
* theoretical density: 3.83 g/cm³
* ΔH_f (0 K): -1.813 eV/atom

* * * * *

DFT (PBE) results for Lu2AgPt after structural relaxation.

The calculation puts the energy of formation at -0.8483 eV per atom. The space-group type is No. 225.

abc: 4.928 4.928 4.928
angles: 60.00 60.00 60.00
Atoms (fractional coordinates):
Ag 0.500 0.500 0.500



RIU Bulldog
You Californians whine about everything "oh it's not legal..i hate neen treated like a criminal...oh no, it is legal!!
gimme a break...


Well-Known Member
i just saw the first pro 19 TV ad? funded by the friend of weed, George Soros
had some celebs, and some talking points, curious what the response is
the ad blitz starts 6 days(or so) before the vote?


Active Member
I did not say she was an idiot for working at a dispensary, that is your misunderstanding.
But you said-

## Between two parts of the entry: data records
____________
## A
Compound: Fe3P2O16
Source: the Materials Project
Functional: PBE+U
Structure: relaxed

POSCAR file:
```
Fe3P2O16
1.0
3.438 -2.294 1.949
-4.581 -5.698 0.007
3.367 -0.871 -7.558
Fe P O
3 2 16
Cartesian
0.000 0.000 0.000
0.018 -5.256 -2.047
2.206 -3.607 -3.555
3.003 -4.432 -0.559
-0.779 -4.431 -5.042
1.320 -6.714 -2.343
0.904 -2.149 -3.258
2.974 -5.432 -3.866
-0.749 -3.431 -1.736
2.996 -3.222 0.428
-0.772 -5.641 -6.030
4.758 -2.900 -5.153
-2.534 -5.963 -0.449
-0.323 -5.686 0.096
2.547 -3.177 -5.698
-1.561 -5.927 0.555
3.785 -2.936 -6.157
1.845 -4.162 -1.593
0.379 -4.701 -4.008
3.723 -2.551 -3.121
-1.499 -6.312 -2.480
```

## B
Compound: Fe3P2O16
Source: the Materials Project
Functional: PBE+U
Structure: relaxed

POSCAR file:
```
Fe3P2O16
1.0
-2.666 -1.750 -3.209
5.658 -2.117 -5.180
2.119 -9.617 0.422
Fe P O
3 2 16
Cartesian
1.060 -4.808 0.211
1.837 -10.203 -2.205
3.274 -3.280 -5.762
-2.023 -3.418 -3.030
7.134 -10.066 -4.937
4.794 -3.953 -4.697
0.317 -9.531 -3.270
0.964 -1.334 -1.295
4.147 -12.150 -6.672
-1.269 -4.699 -2.595
6.380 -8.784 -5.372
-1.486 -2.224 -2.146
6.597 -11.260 -5.821
3.118 -10.289 -3.798
1.993 -3.195 -4.169
4.836 -6.855 -4.029
0.275 -6.629 -3.938
3.243 -9.104 -3.236
1.868 -4.380 -4.731
2.039 -4.636 -1.627
3.072 -8.848 -6.340
```

Best to worst by energy: B, A.

~~~~~

A relaxed structure of ZrH27C8N2Cl5O2, computed with PBE-GGA.

E = -5.156 eV per atom

a = 7.3168 Å, b = 14.7138 Å, c = 19.7496 Å
α = 90.00°, β = 90.00°, γ = 90.00°
Last column: nearest neighbours and their distance in Å.
Space group P2_12_12_1 (No. 19)
One atom of each set of equivalent atoms:
Zr 0.2244 0.0258 0.3518 [4 per cell]  1 O 1.92
H 0.0019 0.7085 0.5466 [4 per cell]  1 C 1.10
H 0.0104 0.8901 0.2122 [4 per cell]  1 C 1.10
H 0.0169 0.3478 0.4984 [4 per cell]  1 C 1.10
H 0.0210 0.7083 0.6673 [4 per cell]  1 C 1.10
H 0.0528 0.8139 0.7114 [4 per cell]  1 C 1.10
H 0.0574 0.0302 0.9690 [4 per cell]  1 O 1.00
H 0.0576 0.9347 0.0954 [4 per cell]  1 N 1.06
H 0.0668 0.4291 0.8613 [4 per cell]  1 C 1.10
H 0.0781 0.4075 0.9504 [4 per cell]  1 C 1.09
H 0.0867 0.5964 0.2951 [4 per cell]  1 C 1.10
H 0.1091 0.2592 0.4456 [4 per cell]  1 C 1.10
H 0.1172 0.7959 0.4992 [4 per cell]  1 C 1.10
H 0.1272 0.6820 0.2325 [4 per cell]  1 C 1.10
H 0.1392 0.3014 0.3188 [4 per cell]  1 C 1.10
H 0.1603 0.7416 0.1224 [4 per cell]  1 C 1.10
H 0.1887 0.5552 0.6384 [4 per cell]  1 C 1.10
H 0.1930 0.3327 0.8923 [4 per cell]  1 C 1.10
H 0.1928 0.4186 0.3342 [4 per cell]  1 C 1.10
H 0.1977 0.4434 0.6033 [4 per cell]  1 C 1.10
H 0.2086 0.8651 0.6018 [4 per cell]  1 N 1.06
H 0.2221 0.3677 0.4503 [4 per cell]  1 C 1.10
H 0.2242 0.1600 0.6555 [4 per cell]  1 C 1.10
H 0.2269 0.1808 0.5660 [4 per cell]  1 C 1.09
H 0.2330 0.5398 0.5497 [4 per cell]  1 C 1.09
H 0.2456 0.7194 0.5524 [4 per cell]  1 C 1.10
H 0.2478 0.5764 0.2276 [4 per cell]  1 C 1.10
H 0.2484 0.7523 0.6806 [4 per cell]  1 C 1.10
C 0.0731 0.3761 0.9002 [4 per cell]  3 H 1.09-1.10
C 0.0818 0.3691 0.3286 [4 per cell]  3 H 1.10
____________

That dragon chick is an idiot, and she has proven it many times. First of all, she works in a dispensary ...
I think you need to work on getting your message out clearer. Maybe not type messages so stoned?

Obviously you're confusing yourself.


Active Member
former Mexican president fox supports prop 19 so "Mexican peasants can export marijuana into the USA"
Most amazing and horrible aspect of the badly written law is that it takes a billion dollar market and shifts into complete chaos and possibly hands it over to just about any one. We already have Mexican nationals in our forest growing illegally making a mess and starting fires ( they use the profits for meth production) They are cartels right in my national forest.